== Wanted ==
Now echo the whole of the notes further down without altering anything.
== Listing ==
-- begin --
No. 1
# Y2Pt5Au
Computed X-ray diffraction stick pattern, Cu Kα. Input: a DFT-relaxed cell (GGA-PBE, Alexandria).
Kinematic intensities with the Lorentz-polarization factor, no thermal factor.

Cell and atoms:
Cell lengths 5.874, 11.734, 4.161 Å; angles 90.00, 90.00, 90.00 degrees
Space group Pbam (No. 55)
Inequivalent atoms, fractional coordinates:
Y1 0.240 0.129 0.000 x4
Pt1 0.000 0.000 0.500 x2
Pt2 0.008 0.751 0.500 x4
Pt3 0.247 0.376 0.000 x4
Au1 0.000 0.500 0.500 x2

Largest 10 diffraction maxima, by angle, 2θ = 10–90°:
| index | 2θ (°) | d_spacing | Rel. int. |
| --- | --- | --- | --- |
| 0 0 1 | 21.4 | 4.155 | 69 |
| 0 4 0 | 30.4 | 2.938 | 60 |
| 0 4 1 | 37.5 | 2.399 | 1000 |
| 0 0 2 | 43.5 | 2.081 | 166 |
| 2 4 0 | 43.6 | 2.075 | 327 |
| 2 4 2 | 63.3 | 1.469 | 272 |
| 0 8 0 | 63.4 | 1.467 | 54 |
| 0 4 3 | 75.9 | 1.254 | 130 |
| 2 8 1 | 76.0 | 1.252 | 256 |
| 0 8 2 | 80.0 | 1.199 | 113 |

***

No. 2
# AcMg10Ni3
Computed X-ray diffraction stick pattern, Cu Kα. Input: a DFT-relaxed cell (GGA-PBE, Alexandria).
Kinematic intensities with the Lorentz-polarization factor, no thermal factor.

Cell and atoms:
Cell lengths 13.477, 13.477, 13.477 Å; angles 90.00, 90.00, 90.00 degrees
Space group Fm-3m (No. 225)
Inequivalent atoms, fractional coordinates:
Ac1 0.250 0.250 0.250 x8
Mg1 0.000 0.167 0.167 x48
Mg2 0.108 0.108 0.392 x32
Ni1 0.000 0.000 0.268 x24

Largest 10 diffraction maxima, by angle, 2θ = 10–90°:
| index | 2θ (°) | d_spacing | Rel. int. |
| --- | --- | --- | --- |
| 2 0 0 | 13.1 | 6.739 | 298 |
| 2 2 0 | 18.6 | 4.765 | 246 |
| 2 2 2 | 22.9 | 3.891 | 1000 |
| 4 0 0 | 26.5 | 3.369 | 374 |
| 4 2 0 | 29.6 | 3.014 | 534 |
| 4 2 2 | 32.5 | 2.751 | 307 |
| 4 4 0 | 37.8 | 2.382 | 605 |
| 6 2 2 | 44.6 | 2.032 | 717 |
| 6 6 2 | 59.8 | 1.546 | 220 |
| 8 4 4 | 68.2 | 1.376 | 229 |

***

No. 3
# KHgMo4
Computed X-ray diffraction stick pattern, Cu Kα. Input: a DFT-relaxed cell (GGA-PBE, Alexandria).
Kinematic intensities with the Lorentz-polarization factor, no thermal factor.

Cell and atoms:
Cell lengths 7.732, 7.732, 7.732 Å; angles 90.00, 90.00, 90.00 degrees
Space group F-43m (No. 216)
Inequivalent atoms, fractional coordinates:
K1 0.000 0.000 0.000 x4
Hg1 0.250 0.250 0.250 x4
Mo1 0.126 0.126 0.626 x16

Largest 10 diffraction maxima, by angle, 2θ = 10–90°:
| index | 2θ (°) | d_spacing | Rel. int. |
| --- | --- | --- | --- |
| 1 1 1 | 19.9 | 4.464 | 144 |
| 2 0 0 | 23.0 | 3.866 | 172 |
| 2 2 0 | 32.8 | 2.734 | 311 |
| 3 1 1 | 38.6 | 2.331 | 1000 |
| 2 2 2 | 40.4 | 2.232 | 357 |
| 4 2 2 | 58.5 | 1.578 | 118 |
| 5 1 1 | 62.4 | 1.488 | 323 |
| 4 4 0 | 68.7 | 1.367 | 242 |
| 5 3 3 | 81.7 | 1.179 | 114 |
| 6 2 2 | 82.8 | 1.166 | 134 |

***

No. 4
# MgVWS4
Computed X-ray diffraction stick pattern, Cu Kα. Input: a DFT-relaxed cell (GGA-PBE, Alexandria).
Kinematic intensities with the Lorentz-polarization factor, no thermal factor.

Cell and atoms:
Cell lengths 7.381, 7.484, 9.010 Å; angles 90.00, 90.00, 90.00 degrees
Space group Imm2 (No. 44)
Inequivalent atoms, fractional coordinates:
Mg1 0.000 0.000 0.000 x2
Mg2 0.000 0.500 0.143 x2
V1 0.000 0.246 0.617 x4
W1 0.187 0.000 0.407 x4
S1 0.000 0.255 0.363 x4
S2 0.000 0.301 0.906 x4
S3 0.187 0.000 0.673 x4
S4 0.218 0.500 0.640 x4

Largest 10 diffraction maxima, by angle, 2θ = 10–90°:
| index | 2θ (°) | d_spacing | Rel. int. |
| --- | --- | --- | --- |
| 0 1 1 | 15.4 | 5.757 | 1000 |
| 1 0 1 | 15.5 | 5.710 | 212 |
| 0 0 2 | 19.7 | 4.505 | 146 |
| 0 2 0 | 23.8 | 3.742 | 159 |
| 2 1 1 | 28.7 | 3.107 | 221 |
| 0 1 3 | 32.1 | 2.787 | 294 |
| 2 2 0 | 34.1 | 2.628 | 338 |
| 0 0 4 | 40.0 | 2.253 | 163 |
| 3 2 1 | 45.2 | 2.004 | 219 |
| 2 2 4 | 53.6 | 1.710 | 162 |

***

No. 5
# UTi2S6
Computed X-ray diffraction stick pattern, Cu Kα. Input: a DFT-relaxed cell (GGA-PBE, Alexandria).
Kinematic intensities with the Lorentz-polarization factor, no thermal factor.

Cell and atoms:
Cell lengths 16.684, 3.614, 7.847 Å; angles 90.00, 110.25, 90.00 degrees
Space group C2/m (No. 12)
-- stop --
== Reply ==
No. 1
# Y2Pt5Au
Computed X-ray diffraction stick pattern, Cu Kα. Input: a DFT-relaxed cell (GGA-PBE, Alexandria).
Kinematic intensities with the Lorentz-polarization factor, no thermal factor.

Cell and atoms:
Cell lengths 5.874, 11.734, 4.161 Å; angles 90.00, 90.00, 90.00 degrees
Space group Pbam (No. 55)
Inequivalent atoms, fractional coordinates:
Y1 0.240 0.129 0.000 x4
Pt1 0.000 0.000 0.500 x2
Pt2 0.008 0.751 0.500 x4
Pt3 0.247 0.376 0.000 x4
Au1 0.000 0.500 0.500 x2

Largest 10 diffraction maxima, by angle, 2θ = 10–90°:
| index | 2θ (°) | d_spacing | Rel. int. |
| --- | --- | --- | --- |
| 0 0 1 | 21.4 | 4.155 | 69 |
| 0 4 0 | 30.4 | 2.938 | 60 |
| 0 4 1 | 37.5 | 2.399 | 1000 |
| 0 0 2 | 43.5 | 2.081 | 166 |
| 2 4 0 | 43.6 | 2.075 | 327 |
| 2 4 2 | 63.3 | 1.469 | 272 |
| 0 8 0 | 63.4 | 1.467 | 54 |
| 0 4 3 | 75.9 | 1.254 | 130 |
| 2 8 1 | 76.0 | 1.252 | 256 |
| 0 8 2 | 80.0 | 1.199 | 113 |

***

No. 2
# AcMg10Ni3
Computed X-ray diffraction stick pattern, Cu Kα. Input: a DFT-relaxed cell (GGA-PBE, Alexandria).
Kinematic intensities with the Lorentz-polarization factor, no thermal factor.

Cell and atoms:
Cell lengths 13.477, 13.477, 13.477 Å; angles 90.00, 90.00, 90.00 degrees
Space group Fm-3m (No. 225)
Inequivalent atoms, fractional coordinates:
Ac1 0.250 0.250 0.250 x8
Mg1 0.000 0.167 0.167 x48
Mg2 0.108 0.108 0.392 x32
Ni1 0.000 0.000 0.268 x24

Largest 10 diffraction maxima, by angle, 2θ = 10–90°:
| index | 2θ (°) | d_spacing | Rel. int. |
| --- | --- | --- | --- |
| 2 0 0 | 13.1 | 6.739 | 298 |
| 2 2 0 | 18.6 | 4.765 | 246 |
| 2 2 2 | 22.9 | 3.891 | 1000 |
| 4 0 0 | 26.5 | 3.369 | 374 |
| 4 2 0 | 29.6 | 3.014 | 534 |
| 4 2 2 | 32.5 | 2.751 | 307 |
| 4 4 0 | 37.8 | 2.382 | 605 |
| 6 2 2 | 44.6 | 2.032 | 717 |
| 6 6 2 | 59.8 | 1.546 | 220 |
| 8 4 4 | 68.2 | 1.376 | 229 |

***

No. 3
# KHgMo4
Computed X-ray diffraction stick pattern, Cu Kα. Input: a DFT-relaxed cell (GGA-PBE, Alexandria).
Kinematic intensities with the Lorentz-polarization factor, no thermal factor.

Cell and atoms:
Cell lengths 7.732, 7.732, 7.732 Å; angles 90.00, 90.00, 90.00 degrees
Space group F-43m (No. 216)
Inequivalent atoms, fractional coordinates:
K1 0.000 0.000 0.000 x4
Hg1 0.250 0.250 0.250 x4
Mo1 0.126 0.126 0.626 x16

Largest 10 diffraction maxima, by angle, 2θ = 10–90°:
| index | 2θ (°) | d_spacing | Rel. int. |
| --- | --- | --- | --- |
| 1 1 1 | 19.9 | 4.464 | 144 |
| 2 0 0 | 23.0 | 3.866 | 172 |
| 2 2 0 | 32.8 | 2.734 | 311 |
| 3 1 1 | 38.6 | 2.331 | 1000 |
| 2 2 2 | 40.4 | 2.232 | 357 |
| 4 2 2 | 58.5 | 1.578 | 118 |
| 5 1 1 | 62.4 | 1.488 | 323 |
| 4 4 0 | 68.7 | 1.367 | 242 |
| 5 3 3 | 81.7 | 1.179 | 114 |
| 6 2 2 | 82.8 | 1.166 | 134 |

***

No. 4
# MgVWS4
Computed X-ray diffraction stick pattern, Cu Kα. Input: a DFT-relaxed cell (GGA-PBE, Alexandria).
Kinematic intensities with the Lorentz-polarization factor, no thermal factor.

Cell and atoms:
Cell lengths 7.381, 7.484, 9.010 Å; angles 90.00, 90.00, 90.00 degrees
Space group Imm2 (No. 44)
Inequivalent atoms, fractional coordinates:
Mg1 0.000 0.000 0.000 x2
Mg2 0.000 0.500 0.143 x2
V1 0.000 0.246 0.617 x4
W1 0.187 0.000 0.407 x4
S1 0.000 0.255 0.363 x4
S2 0.000 0.301 0.906 x4
S3 0.187 0.000 0.673 x4
S4 0.218 0.500 0.640 x4

Largest 10 diffraction maxima, by angle, 2θ = 10–90°:
| index | 2θ (°) | d_spacing | Rel. int. |
| --- | --- | --- | --- |
| 0 1 1 | 15.4 | 5.757 | 1000 |
| 1 0 1 | 15.5 | 5.710 | 212 |
| 0 0 2 | 19.7 | 4.505 | 146 |
| 0 2 0 | 23.8 | 3.742 | 159 |
| 2 1 1 | 28.7 | 3.107 | 221 |
| 0 1 3 | 32.1 | 2.787 | 294 |
| 2 2 0 | 34.1 | 2.628 | 338 |
| 0 0 4 | 40.0 | 2.253 | 163 |
| 3 2 1 | 45.2 | 2.004 | 219 |
| 2 2 4 | 53.6 | 1.710 | 162 |

***

No. 5
# UTi2S6
Computed X-ray diffraction stick pattern, Cu Kα. Input: a DFT-relaxed cell (GGA-PBE, Alexandria).
Kinematic intensities with the Lorentz-polarization factor, no thermal factor.

Cell and atoms:
Cell lengths 16.684, 3.614, 7.847 Å; angles 90.00, 110.25, 90.00 degrees
Space group C2/m (No. 12)